Winterbourne’s Choice

### Inserted here: molecular data
........
(1)
The following is a quantum chemistry calculation of a structure of composition C32H50DyN3O3S at a distorted geometry, from OMol25.

- F_max (eV/A) = 1.68
- LUMO (spin up / spin down) (eV) = -7.5 / -7.5
- total energy (eV) = -79516.851
- frontier orbital gap (spin up / spin down) (eV) = 5.89 / 5.75

Geometry as ORCA input:
```
! wB97M-V def2-TZVPD RIJCOSX def2/J DEFGRID3
* xyz 2 6
Dy -2.638 -0.350 -0.214
C 3.597 1.229 4.080
C 3.434 -0.062 3.262
C 3.746 -1.279 4.146
C 4.419 -0.037 2.096
C 1.992 -0.157 2.783
C 1.640 -0.204 1.472
C 0.266 -0.281 1.099
N -0.256 -0.314 -0.147
C 0.322 -0.331 -1.375
C 1.701 -0.452 -1.695
C 2.114 -0.453 -2.992
C 1.121 -0.329 -4.017
C -0.232 -0.236 -3.811
C -0.645 -0.242 -2.464
O -1.907 -0.164 -2.120
C -1.234 -0.144 -4.961
C -0.526 -0.156 -6.320
C -2.183 -1.349 -4.924
C -2.022 1.168 -4.860
C 3.603 -0.598 -3.324
C 3.865 -0.593 -4.830
C 4.369 0.568 -2.686
C 4.113 -1.924 -2.740
C -0.757 -0.275 2.144
O -1.992 -0.271 1.733
C -0.399 -0.259 3.510
C 0.946 -0.200 3.763
C -1.364 -0.294 4.708
C -0.984 -1.485 5.600
C -1.209 1.012 5.499
C -2.845 -0.447 4.345
H 4.626 1.309 4.434
H 2.950 1.250 4.958
H 3.378 2.111 3.475
H 4.781 -1.225 4.487
H 3.621 -2.213 3.595
H 3.115 -1.323 5.035
H 5.435 0.031 2.487
H 4.264 0.828 1.446
H 4.364 -0.947 1.493
H 2.406 -0.155 0.729
H 2.434 -0.588 -0.926
H 1.474 -0.330 -5.036
H 0.035 -1.077 -6.489
H 0.150 0.693 -6.445
H -1.278 -0.088 -7.106
H -1.629 -2.283 -5.046
H -2.892 -1.277 -5.750
H -2.752 -1.404 -3.997
H -1.348 2.028 -4.895
H -2.617 1.227 -3.948
H -2.702 1.249 -5.710
H 3.552 0.341 -5.303
H 3.370 -1.423 -5.341
H 4.935 -0.699 -5.007
H 4.009 1.532 -3.051
H 5.430 0.491 -2.930
H 4.281 0.562 -1.597
H 3.562 -2.776 -3.142
H 4.030 -1.948 -1.652
H 5.166 -2.056 -2.992
H 1.259 -0.173 4.800
H 0.027 -1.403 6.001
H -1.053 -2.427 5.051
H -1.665 -1.539 6.451
H -0.190 1.157 5.863
H -1.869 1.000 6.368
H -1.472 1.878 4.887
H -3.040 -1.366 3.789
H -3.223 0.394 3.764
H -3.409 -0.491 5.278
N -5.671 -2.038 1.888
C -5.023 -1.867 0.753
N -5.368 -0.784 -0.034
S -3.719 -2.824 0.257
H -6.475 -1.489 2.152
H -5.359 -2.758 2.523
H -6.165 -0.220 0.243
H -5.408 -1.029 -1.022
C -3.930 4.033 -0.124
C -3.083 2.810 -0.124
C -1.588 2.889 -0.189
O -3.635 1.701 -0.087
H -3.355 4.951 -0.068
H -4.637 3.974 0.705
H -4.522 4.029 -1.044
H -1.223 3.912 -0.215
H -1.244 2.368 -1.087
H -1.166 2.383 0.684
*
```

(2)
The following is a quantum chemistry calculation of a cluster of 2 separate species, C32H50N4P in total at a distorted geometry, from OMol25.

- F_max (eV/A) = 2.49
- LUMO (eV) = -4.3
- total energy (eV) = -49237.866
- frontier orbital gap (eV) = 5.12
- energy relative to the best compared isomer or geometry (same formula, charge and spin) (eV) = 0.228

Geometry as ORCA input:
```
! wB97M-V def2-TZVPD RIJCOSX def2/J DEFGRID3
* xyz 1 1
C 7.904 -1.077 0.229
C 7.297 -2.357 0.823
C 5.792 -2.100 0.952
N 5.536 -0.890 0.188
C 4.269 -0.439 -0.058
C 3.181 -0.932 0.707
C 1.896 -0.491 0.483
C 1.593 0.398 -0.595
C 0.264 0.846 -0.855
........

Throughout Daisy Miller, Winterbourne seems to hover between two cultures, European and American. By extension, he also hovers between propriety and impropriety, and the novel seems to be leading him to a point where he must make a choice between the two. Winterbourne is entirely infatuated with Daisy, and she represents his desire to break free from European societal expectations, although it seems that she pushes a little too much against convention for his comfort. 

The climax of Winterbourne’s indecision comes near the end of chapter three, when Mrs. Walker attempts to convince Daisy to ride in her carriage instead of walking around with Mr. Giovanelli. Daisy asks Winterbourne what he thinks she should do, and it seems as though she is knowingly testing him: 

“There was a little pink flush in her cheek; she was tremendously pretty. ‘Does Mr. Winterbourne think,’ she asked slowly, smiling, throwing back her head and glancing at him from head to foot, ‘that – to save my reputation – I ought to get into the carriage?’” 

Winterbourne is finally asked to choose between what is socially proper and the carefree impropriety represented by Daisy – the choice he’s been avoiding all throughout the novel. He spends a great deal of time considering how to respond, and perhaps the language used gives away his answer sooner than anticipated: “he himself, in fact, must speak in accordance with gallantry” (43). The word “must” prompts the question of “why?” Why must Winterbourne “speak in accordance with gallantry”? What does “gallantry” mean in this specific situation? “Must” implies an obligation, in this case to social rules, while “gallantry” seems to imply chivalrous, gentlemanly behavior. Winterbourne is called to act “in accordance with” the expectations of Mrs. Walker, and he finds that “the finest gallantry, here, was simply to tell [Dasiy] the truth…”. But truth is subjective, as the next phrase discreetly shows: “The truth, for Winterbourne… was that Daisy Miller should take Mrs. Walker’s advice” (43). The “truth” that Winterbourne lands upon is, in fact, the choice he makes between ‘proper’ and ‘reckless’ behavior. Perhaps by labeling it as “truth,” Winterbourne makes an effort to lift some responsibility from his own shoulders. Daisy should take Mrs. Walker’s advice; this is not Winterbourne’s own opinion, but “the truth.”

Winterbourne’s response to Daisy’s question, and his answer to the question of (im)propriety that has plagued him through the novel, is carefully considered and “very gently” delivered (43). Daisy, however, responds sharply: “Daisy gave a violent laugh. ‘I never heard anything so stiff! If this is improper, Mrs. Walker,’ she pursued, ‘then I am all improper and you must give me up.’” There is a contrast between Winterbourne’s gentle response and Daisy’s “violent laugh,” which perhaps illustrates the contrasting ways they present themselves to the world. They each flirt and carry on intimate relationships with multiple people – Daisy and her various gentlemen, Winterbourne and his implied lover in Geneva, as well as the “two or three women… who were great coquettes… with whom one’s relations were liable to take a serious turn” (12) – but they present themselves differently to society, and receive different reactions from their onlookers. Winterbourne has the air of a gentleman, and is never judged too harshly for associating with Daisy (nor, interestingly, with his married female friend Mrs. Walker, whose husband never actually makes an appearance in the text). Daisy, on the other hand, is judged incredibly harshly for her carefree, reckless behavior, to the point of being shunned at Mrs. Walker’s party. There are other layers to this, such as a cultural layer and a gendered double standard, but the point remains that Daisy and Winterbourne are similar characters who choose to go down different paths. They may have been walking along together thus far, but this point in the novel marks the place where the path splits. Daisy invites Winterbourne down one way, but he hesitatingly chooses the other, and in doing so loses Daisy forever. 

Defending Daisy Miller

== Data records, as found in the file ==
____________
Entry 1:
{
  "formula": "C40H43N5O3PPtSe",
  "method": "wB97M-V/def2-TZVPD",
  "species": ["Pt", "O", "N", "N", "O", "C", "C", "C", "C", "C", "C", "H", "H", "H", "H", "H", "O", "N", "C", "C", "C", "C", "C", "C", "C", "P", "C", "C", "C", "C", "C", "C", "C", "C", "C", "C", "C", "C", "H", "H", "H", "H", "H", "H", "H", "H", "H", "H", "H", "H", "H", "H", "H", "H", "C", "C", "C", "C", "N", "C", "Se", "N", "C", "C", "C", "C", "C", "C", "C", "C", "C", "C", "H", "H", "H", "H", "H", "H", "H", "H", "H", "H", "H", "H", "H", "H", "H", "H", "H", "H", "H", "H", "H", "H"],
  "xyz": [[1.22, -1.50, -0.08], [1.11, -0.17, -1.87], [0.22, -0.44, -2.75], [-0.45, -1.49, -2.53], [-0.28, -2.26, -1.48], [-1.49, -1.85, -3.47], [-2.18, -3.03, -3.26], [-3.19, -3.37, -4.14], [-3.50, -2.55, -5.21], [-2.79, -1.37, -5.40], [-1.78, -1.01, -4.53], [-1.91, -3.66, -2.43], [-3.73, -4.30, -3.99], [-4.29, -2.83, -5.90], [-3.02, -0.73, -6.24], [-1.23, -0.09, -4.67], [0.36, -4.37, 0.45], [1.28, -3.52, 1.04], [2.33, -4.13, 1.43], [3.40, -3.50, 2.21], [4.11, -4.40, 3.02], [5.05, -3.97, 3.93], [5.29, -2.61, 4.07], [4.62, -1.71, 3.26], [3.70, -2.13, 2.30], [3.01, -0.83, 1.21], [2.59, 0.47, 2.41], [1.73, 0.15, 3.46], [1.37, 1.11, 4.39], [1.86, 2.41, 4.27], [2.71, 2.73, 3.22], [3.08, 1.77, 2.29], [4.39, -0.15, 0.25], [5.74, -0.28, 0.59], [6.72, 0.34, -0.16], [6.36, 1.10, -1.27], [5.03, 1.23, -1.63], [4.05, 0.60, -0.88], [-0.38, -3.79, 0.22], [2.37, -5.21, 1.28], [3.88, -5.46, 2.94], [5.57, -4.68, 4.55], [5.99, -2.25, 4.81], [4.80, -0.65, 3.39], [1.35, -0.86, 3.57], [0.71, 0.86, 5.20], [1.58, 3.16, 4.99], [3.10, 3.74, 3.13], [3.74, 2.02, 1.48], [6.04, -0.88, 1.44], [7.76, 0.23, 0.11], [7.13, 1.59, -1.86], [4.75, 1.80, -2.50], [3.02, 0.69, -1.18], [-1.15, 5.18, 0.82], [-1.68, 3.89, 1.43], [-0.60, 2.81, 1.58], [-0.13, 2.18, 0.28], [-1.20, 1.43, -0.38], [-1.64, 0.22, 0.00], [-0.87, -0.84, 1.34], [-2.68, -0.14, -0.78], [-3.45, -1.37, -0.64], [-4.34, -1.38, 0.60], [-5.30, -0.21, 0.73], [-6.41, -0.21, -0.32], [-2.91, 0.87, -1.71], [-3.82, 0.98, -2.75], [-3.75, 2.12, -3.52], [-2.80, 3.12, -3.27], [-1.89, 3.01, -2.25], [-1.96, 1.86, -1.46], [-1.92, 5.95, 0.78], [-0.79, 5.05, -0.20], [-0.32, 5.58, 1.40], [-2.51, 3.50, 0.83], [-2.09, 4.11, 2.41], [-0.96, 2.01, 2.23], [0.28, 3.24, 2.08], [0.69, 1.49, 0.46], [0.21, 2.93, -0.44], [-2.74, -2.19, -0.62], [-4.05, -1.47, -1.55], [-3.69, -1.42, 1.48], [-4.90, -2.32, 0.59], [-4.75, 0.74, 0.68], [-5.75, -0.24, 1.72], [-6.03, -0.06, -1.33], [-7.13, 0.59, -0.13], [-6.96, -1.15, -0.30], [-4.53, 0.20, -2.98], [-4.44, 2.24, -4.35], [-2.78, 3.99, -3.91], [-1.15, 3.77, -2.07]],
  "multiplicity": 3,
  "lumo_energy_ha": [-0.0925, -0.1427],
  "gap_ha": [0.25955, 0.25366],
  "homo_ev": [-9.6, -10.8],
  "s2": 2.01,
  "charge": 1
}

=====

Entry 2:
{
  "formula": "C40H44CdCl2N7O5S",
  "method": "wB97M-V/def2-TZVPD",
____________

In the fourth chapter of Henry James Daisy Miller, the narrator states, “[Winterbourne] felt very sorry for her—not because he believed that she had completely lost her head, but because it was painful to hear so much that was pretty and undefended and natural assigned to a vulgar place among the categories of disorder” (54). The keywords I want to focus on here are “pretty,” “undefended,” and “natural.” To really unpack the meaning of these words though, I would first like to make two considerations: one of perceptions of Daisy Miller in relation to gender and history, and the other of another a specific scene in which Daisy’s prettiness and rebelliousness is responded to.

While reading Daisy Miller, I instinctually want to defend Daisy against accusations of her having “lost her head” or any other accusation of there being something fundamentally wrong with her mentally. She does show signs of narcissism and can be manipulative, but from my standpoint as a feminist in the 21st century, I would like for the most part to consider Daisy as something more along the lines of a liberated woman. Of course, women’s liberation, in more formal movements, would not come for nearly another hundred years’ after the novel was published, and the first wave of feminism was only just starting to really blossom at the time. Any hey, in the 19th century, wanting to deviate from societal norms was generally enough for a person to be diagnosed with a mental illness or otherwise shunned or invalidated. Putting aside histories of feminism and mental illness, I bring this up because I want to make clear that I do not believe that Daisy is supposed to be a liberated character, nor that her lack of concern for societal norms is supposed to be read as a thing that other women should be striving to achieve. No matter how much my contemporary lens is willing to forgive Daisy Miller, she would not have been perceived in the time period the way I perceive her now.

But if Daisy’s liberated character is clearly not supposed to be read as a positive thing considering historical contexts, then why is Winterbourne so enamored with and forgiving of her? For a brief moment I hoped, rather naively, that perhaps James was simply ahead of his time and that he wrote Daisy Miller to advance sophisticated portrayals of women that position them outside of conventional roles. Daisy is after all a representation of a certain kind of woman that existed historical that can be contextualized and understood today within larger histories of gender construction. But when looking at the context of some of the interactions between Daisy and Winterbourne, almost all of which include an observation of her beauty, I discovered the less feminist reason for Winterbourne’s fixation on Daisy Miller.

In chapter three when Winterbourne meets Giovanelli for the first time, Giovanelli makes a comment on Daisy’s character and Daisy immediately chastises him. She claims, “I have never allowed a gentleman to dictate to me, or to interfere with anything I do” (40). Whether or not this statement is true is a debate for another time. What I want to examine is the way that Daisy is described when she makes this statement and its content in conjunction with Winterbourne’s response. Before she makes this statement, Daisy is described as having “eyes that were prettier than ever” (40). Winterbourne then responds, “I think that you have made a mistake. You should sometimes listen to a gentleman—the right one” (40). The implication of the combination of Daisy’s prettiness, her defiant statement, and Winterbourne’s immediate correction demonstrates that Winterbourne is willing to excuse, even appreciate, Daisy’s deviations from the societal norms because of her beauty. More importantly, however, he, in his position as a real gentleman of proper society, would is capable of reforming, or in a way saving, her, if only she would listen.

Returning to those three words mentioned earlier, “pretty,” “undefended,” and “natural,” it is now possible to understand these words more deeply. Daisy’s prettiness is one of her most notable qualities, and her beauty is what draws Winterbourne to her. However, she also presents a wildness, one that is “natural” for a woman who has not been taught and sheltered properly (by a proper gentleman) to present. She has also not been properly defended, i.e. she does not have someone of proper society like Winterbourne to vouch for her in appropriate ways. A relationship between Daisy and Winterbourne would in a way, then, save Daisy. But if she were to accept such a thing, would she really be Daisy Miller anymore?